(Data)
Entry 1:
The following is a DFT calculation (r2SCAN) of crystalline CeAlSi at its relaxed geometry.

crystal system	tetragonal
DFT formation energy	-0.701	eV/atom
magnetic moment	1.01	μB per formula unit

abc: 7.934 7.934 7.934
angles: 149.05 149.05 44.34
Fractional coordinates of all 6 atoms:
Ce (0.582, 0.582, 0.000)
Ce (0.332, 0.832, 0.500)
Al (0.165, 0.165, 0.000)
Al (0.915, 0.415, 0.500)
Si (0.000, 0.000, 0.000)
Si (0.750, 0.250, 0.500)

Entry 2:
The following is a DFT calculation (r2SCAN) of crystalline Al2CoCl8 at its relaxed geometry.

crystal system	monoclinic
DFT formation energy	-1.421	eV/atom
magnetic moment	1.00	μB per formula unit

abc: 9.414 9.414 11.508
angles: 53.35 53.35 49.98
Fractional coordinates of all 22 atoms:
Al (0.164, 0.673, 0.531)
Al (0.327, 0.836, 0.969)
Al (0.836, 0.327, 0.469)
Al (0.673, 0.164, 0.031)
Co (0.990, 0.010, 0.750)
Co (0.010, 0.990, 0.250)
Cl (0.306, 0.375, 0.558)
Cl (0.625, 0.694, 0.942)
Cl (0.694, 0.625, 0.442)
Cl (0.375, 0.306, 0.058)
Cl (0.874, 0.836, 0.510)
Cl (0.164, 0.126, 0.990)
Cl (0.126, 0.164, 0.490)
Cl (0.836, 0.874, 0.010)
Cl (0.136, 0.695, 0.720)
Cl (0.305, 0.864, 0.780)
Cl (0.864, 0.305, 0.280)
Cl (0.695, 0.136, 0.220)
Cl (0.299, 0.847, 0.307)
Cl (0.153, 0.701, 0.193)
Cl (0.701, 0.153, 0.693)
Cl (0.847, 0.299, 0.807)

The lowest magnetic moment belongs to which entry? Al2CoCl8

Number 1 is which compound? CeAlSi

~~~~~

No. 1
The following is a PBE calculation of Zn3As2O10 after structural relaxation, from Materials Project.

Cell: 6.5943 9.2502 14.7167 Å, 101.77 99.93 108.98°
With the nearest neighbours (Å) after each atom.
Sites, in units of the cell vectors:
Zn 0.1253 0.4075 0.1523  4 O 1.93-2.15
Zn 0.1651 0.2731 0.9343  4 O 1.97-2.13
Zn 0.1998 0.5194 0.5761  5 O 2.01-2.09
Zn 0.2937 0.9541 0.9080  4 O 2.01-2.17
Zn 0.3371 0.8281 0.2655  5 O 1.96-2.15
Zn 0.3720 0.1585 0.3983  5 O 2.01-2.14
Zn 0.6280 0.8415 0.6017  5 O 2.01-2.14
Zn 0.6629 0.1719 0.7345  5 O 1.96-2.15
Zn 0.7063 0.0459 0.0920  4 O 2.01-2.17
Zn 0.8002 0.4806 0.4239  5 O 2.01-2.09
Zn 0.8349 0.7269 0.0657  4 O 1.97-2.13
Zn 0.8747 0.5925 0.8477  4 O 1.93-2.15
As 0.1848 0.8797 0.6727  4 O 1.71-1.75
As 0.2364 0.0766 0.1381  4 O 1.69-1.74
As 0.2881 0.6711 0.0376  4 O 1.71-1.75
As 0.3514 0.5653 0.3844  4 O 1.72-1.74
As 0.6486 0.4347 0.6156  4 O 1.72-1.74
As 0.7119 0.3289 0.9624  4 O 1.71-1.75
As 0.7636 0.9234 0.8619  4 O 1.69-1.74
As 0.8152 0.1203 0.3273  4 O 1.71-1.75
O 0.0423 0.0402 0.9147  1 As 1.74
O 0.0699 0.1572 0.4044  1 As 1.74
O 0.1187 0.2770 0.5531  1 Zn 2.07, 1 O 2.16
O 0.1218 0.5022 0.4295  1 As 1.73
O 0.1385 0.8162 0.7720  1 As 1.72
O 0.1507 0.7207 0.1239  1 As 1.75
O 0.1850 0.6959 0.9287  1 As 1.72
O 0.1891 0.3436 0.7668  1 O 1.24
O 0.2381 0.4802 0.7580  1 O 1.24
O 0.2434 0.4740 0.0339  1 As 1.74
O 0.2643 0.5858 0.2707  1 As 1.74
O 0.2722 0.9137 0.3879  2 Zn 1.99-2.11
O 0.2927 0.2703 0.1424  1 As 1.69
O 0.3003 0.7635 0.6065  1 As 1.75
O 0.3076 0.0461 0.2485  1 As 1.72
O 0.3376 0.0787 0.7023  1 As 1.71
O 0.3800 0.0069 0.0633  1 As 1.73
O 0.4330 0.2247 0.9184  1 As 1.71
O 0.4602 0.2509 0.5469  1 As 1.72
O 0.4710 0.4247 0.3811  1 As 1.72
O 0.5290 0.5753 0.6189  1 As 1.72
O 0.5398 0.7491 0.4531  1 As 1.72
O 0.5670 0.7753 0.0816  1 As 1.71
O 0.6200 0.9931 0.9367  1 As 1.73
O 0.6624 0.9213 0.2977  1 As 1.71
O 0.6924 0.9539 0.7515  1 As 1.72
O 0.6997 0.2365 0.3935  1 As 1.75
O 0.7073 0.7297 0.8576  1 As 1.69
O 0.7278 0.0863 0.6121  2 Zn 1.99-2.11
O 0.7357 0.4142 0.7293  1 As 1.74
O 0.7566 0.5260 0.9661  1 As 1.74
O 0.7619 0.5198 0.2420  1 O 1.24
O 0.8109 0.6564 0.2332  1 O 1.24
O 0.8150 0.3041 0.0713  1 As 1.72
O 0.8493 0.2793 0.8761  1 As 1.75
O 0.8615 0.1838 0.2280  1 As 1.72
O 0.8782 0.4978 0.5705  1 As 1.73
O 0.8813 0.7230 0.4469  1 Zn 2.07, 1 O 2.16
O 0.9301 0.8428 0.5956  1 As 1.74
O 0.9577 0.9598 0.0853  1 As 1.74

final energy	-5.1448	eV per atom
magnetization	12.00	μB/cell
SG	P-1
formation energy	-1080	meV per atom

No. 2

(Assignment)
Could you start at the top of the entries earlier on and echo each line, ending with the one that has "(0.701, 0.153,"?

(Reply)
Entry 1:
The following is a DFT calculation (r2SCAN) of crystalline CeAlSi at its relaxed geometry.

crystal system	tetragonal
DFT formation energy	-0.701	eV/atom
magnetic moment	1.01	μB per formula unit

abc: 7.934 7.934 7.934
angles: 149.05 149.05 44.34
Fractional coordinates of all 6 atoms:
Ce (0.582, 0.582, 0.000)
Ce (0.332, 0.832, 0.500)
Al (0.165, 0.165, 0.000)
Al (0.915, 0.415, 0.500)
Si (0.000, 0.000, 0.000)
Si (0.750, 0.250, 0.500)

Entry 2:
The following is a DFT calculation (r2SCAN) of crystalline Al2CoCl8 at its relaxed geometry.

crystal system	monoclinic
DFT formation energy	-1.421	eV/atom
magnetic moment	1.00	μB per formula unit

abc: 9.414 9.414 11.508
angles: 53.35 53.35 49.98
Fractional coordinates of all 22 atoms:
Al (0.164, 0.673, 0.531)
Al (0.327, 0.836, 0.969)
Al (0.836, 0.327, 0.469)
Al (0.673, 0.164, 0.031)
Co (0.990, 0.010, 0.750)
Co (0.010, 0.990, 0.250)
Cl (0.306, 0.375, 0.558)
Cl (0.625, 0.694, 0.942)
Cl (0.694, 0.625, 0.442)
Cl (0.375, 0.306, 0.058)
Cl (0.874, 0.836, 0.510)
Cl (0.164, 0.126, 0.990)
Cl (0.126, 0.164, 0.490)
Cl (0.836, 0.874, 0.010)
Cl (0.136, 0.695, 0.720)
Cl (0.305, 0.864, 0.780)
Cl (0.864, 0.305, 0.280)
Cl (0.695, 0.136, 0.220)
Cl (0.299, 0.847, 0.307)
Cl (0.153, 0.701, 0.193)
Cl (0.701, 0.153, 0.693)